# Material
-- begin --
# TbSiPd2

A relaxed TbSiPd2 crystal (meta-GGA r2SCAN, Materials Project).

Values from the calculation:
Energy relative to the elements in eV per atom: -1.015
Density in g/cm3: 9.436

a = 5.539 Å, b = 6.926 Å, c = 7.337 Å
α = 90.00°, β = 90.00°, γ = 90.00°
Sites, in units of the cell vectors:
Tb  0.143  0.750  0.529
Tb  0.857  0.250  0.471
Tb  0.643  0.250  0.971
Tb  0.357  0.750  0.029
Si  0.857  0.750  0.877
Si  0.143  0.250  0.123
Si  0.357  0.250  0.623
Si  0.643  0.750  0.377
Pd  0.593  0.552  0.677
Pd  0.407  0.448  0.323
Pd  0.093  0.448  0.823
Pd  0.407  0.052  0.323
Pd  0.907  0.552  0.177
Pd  0.593  0.948  0.677
Pd  0.907  0.948  0.177
Pd  0.093  0.052  0.823

~~~~~

(1)
Crystalline CrCo3O8 at its relaxed geometry. Source: the Materials Project, functional PBE with a Hubbard U.

energy of formation from the pure elements	-1260	meV per atom
symmetry	P6_3mc
corrected total energy (MP2020 scheme)	-7.14	eV/atom
magnetization	5.0	μB/f.u.
ρ	4.89	g/cm³
energy above the lowest structure with this stoichiometry	0.0000	eV per atom

a = 5.629 Å, b = 5.629 Å, c = 8.838 Å
α = 90.00°, β = 90.00°, γ = 120.00°
Element x y z (fractional)
Cr: 0.333 0.667 0.490
Cr: 0.667 0.333 0.990
Co: 0.167 0.833 0.209
Co: 0.167 0.335 0.209
Co: 0.665 0.833 0.209
Co: 0.335 0.167 0.709
Co: 0.833 0.665 0.709
Co: 0.833 0.167 0.709
O: 0.164 0.836 0.607
O: 0.041 0.520 0.334
O: 0.333 0.667 0.101
O: 0.000 0.000 0.316
O: 0.000 0.000 0.816
O: 0.164 0.329 0.607
O: 0.480 0.959 0.334
O: 0.480 0.520 0.334
O: 0.329 0.164 0.107
O: 0.671 0.836 0.607
O: 0.520 0.480 0.834
O: 0.520 0.041 0.834
O: 0.667 0.333 0.601
O: 0.836 0.671 0.107
O: 0.959 0.480 0.834
O: 0.836 0.164 0.107

(2)
Crystalline SrTb2Fe2O7 at its relaxed geometry. Source: the Materials Project, functional PBE with a Hubbard U.

energy of formation from the pure elements	-2899	meV per atom
symmetry	P4_2/mnm
corrected total energy (MP2020 scheme)	-8.11	eV/atom
magnetization	10.0	μB/f.u.
ρ	6.81	g/cm³

a = 5.592 Å, b = 5.592 Å, c = 19.608 Å
α = 90.00°, β = 90.00°, γ = 90.00°
Element x y z (fractional)
Sr: 0.259 0.259 0.000
Sr: 0.241 0.759 0.500
Sr: 0.759 0.241 0.500
Sr: 0.741 0.741 0.000
Tb: 0.277 0.277 0.183
Tb: 0.223 0.777 0.683
Tb: 0.777 0.223 0.683
Tb: 0.777 0.223 0.317
Tb: 0.223 0.777 0.317
Tb: 0.723 0.723 0.183
Tb: 0.277 0.277 0.817
Tb: 0.723 0.723 0.817
Fe: 0.258 0.258 0.399
Fe: 0.242 0.758 0.899
Fe: 0.758 0.242 0.899
Fe: 0.758 0.242 0.101
Fe: 0.242 0.758 0.101
Fe: 0.742 0.742 0.399
Fe: 0.258 0.258 0.601
Fe: 0.742 0.742 0.601
O: 0.705 0.705 0.500
O: 0.795 0.205 0.000
O: 0.205 0.795 0.000
O: 0.295 0.295 0.500
O: 0.186 0.186 0.290
O: 0.314 0.686 0.790
O: 0.686 0.314 0.790
O: 0.686 0.314 0.210
O: 0.314 0.686 0.210
O: 0.814 0.814 0.290
O: 0.186 0.186 0.710
O: 0.814 0.814 0.710
O: 0.000 0.500 0.112
O: 0.000 0.500 0.612
O: 0.500 0.000 0.388
O: 0.500 0.000 0.888
O: 0.000 0.500 0.888
O: 0.000 0.500 0.388
O: 0.500 0.000 0.612
O: 0.500 0.000 0.112
O: 0.000 0.000 0.131
O: 0.500 0.500 0.631
O: 0.500 0.500 0.369
O: 0.000 0.000 0.869
O: 0.000 0.000 0.410
O: 0.500 0.500 0.910
O: 0.500 0.500 0.090
O: 0.000 0.000 0.590

(3)
Crystalline MnV2O7 at its relaxed geometry. Source: the Materials Project, functional PBE with a Hubbard U.

energy of formation from the pure elements	-2008	meV per atom
symmetry	P-1
corrected total energy (MP2020 scheme)	-8.20	eV/atom
magnetization	3.0	μB/f.u.
ρ	2.92	g/cm³

a = 5.845 Å, b = 7.000 Å, c = 7.910 Å
α = 79.92°, β = 82.01°, γ = 74.96°
Element x y z (fractional)
Mn: 0.912 0.657 0.653
Mn: 0.088 0.343 0.347
V: 0.901 0.150 0.761
V: 0.099 0.850 0.239
V: 0.302 0.325 0.908
V: 0.698 0.675 0.092
O: 0.608 0.186 0.870
O: 0.392 0.814 0.130
O: 0.114 0.161 0.904
O: 0.886 0.839 0.096
O: 0.917 0.343 0.593
O: 0.083 0.657 0.407
O: 0.975 0.930 0.688
O: 0.025 0.070 0.312
O: 0.225 0.519 0.750
O: 0.775 0.481 0.250
O: 0.247 0.404 0.105
O: 0.753 0.596 0.895
O: 0.635 0.762 0.572
O: 0.365 0.238 0.428

(4)
Crystalline MnP2O7 at its relaxed geometry. Source: the Materials Project, functional PBE with a Hubbard U.
-- stop --
# Work order
Set down the whole of the rows further above with every line break kept, please.
# Written answer
# TbSiPd2

A relaxed TbSiPd2 crystal (meta-GGA r2SCAN, Materials Project).

Values from the calculation:
Energy relative to the elements in eV per atom: -1.015
Density in g/cm3: 9.436

a = 5.539 Å, b = 6.926 Å, c = 7.337 Å
α = 90.00°, β = 90.00°, γ = 90.00°
Sites, in units of the cell vectors:
Tb  0.143  0.750  0.529
Tb  0.857  0.250  0.471
Tb  0.643  0.250  0.971
Tb  0.357  0.750  0.029
Si  0.857  0.750  0.877
Si  0.143  0.250  0.123
Si  0.357  0.250  0.623
Si  0.643  0.750  0.377
Pd  0.593  0.552  0.677
Pd  0.407  0.448  0.323
Pd  0.093  0.448  0.823
Pd  0.407  0.052  0.323
Pd  0.907  0.552  0.177
Pd  0.593  0.948  0.677
Pd  0.907  0.948  0.177
Pd  0.093  0.052  0.823

~~~~~

(1)
Crystalline CrCo3O8 at its relaxed geometry. Source: the Materials Project, functional PBE with a Hubbard U.

energy of formation from the pure elements	-1260	meV per atom
symmetry	P6_3mc
corrected total energy (MP2020 scheme)	-7.14	eV/atom
magnetization	5.0	μB/f.u.
ρ	4.89	g/cm³
energy above the lowest structure with this stoichiometry	0.0000	eV per atom

a = 5.629 Å, b = 5.629 Å, c = 8.838 Å
α = 90.00°, β = 90.00°, γ = 120.00°
Element x y z (fractional)
Cr: 0.333 0.667 0.490
Cr: 0.667 0.333 0.990
Co: 0.167 0.833 0.209
Co: 0.167 0.335 0.209
Co: 0.665 0.833 0.209
Co: 0.335 0.167 0.709
Co: 0.833 0.665 0.709
Co: 0.833 0.167 0.709
O: 0.164 0.836 0.607
O: 0.041 0.520 0.334
O: 0.333 0.667 0.101
O: 0.000 0.000 0.316
O: 0.000 0.000 0.816
O: 0.164 0.329 0.607
O: 0.480 0.959 0.334
O: 0.480 0.520 0.334
O: 0.329 0.164 0.107
O: 0.671 0.836 0.607
O: 0.520 0.480 0.834
O: 0.520 0.041 0.834
O: 0.667 0.333 0.601
O: 0.836 0.671 0.107
O: 0.959 0.480 0.834
O: 0.836 0.164 0.107

(2)
Crystalline SrTb2Fe2O7 at its relaxed geometry. Source: the Materials Project, functional PBE with a Hubbard U.

energy of formation from the pure elements	-2899	meV per atom
symmetry	P4_2/mnm
corrected total energy (MP2020 scheme)	-8.11	eV/atom
magnetization	10.0	μB/f.u.
ρ	6.81	g/cm³

a = 5.592 Å, b = 5.592 Å, c = 19.608 Å
α = 90.00°, β = 90.00°, γ = 90.00°
Element x y z (fractional)
Sr: 0.259 0.259 0.000
Sr: 0.241 0.759 0.500
Sr: 0.759 0.241 0.500
Sr: 0.741 0.741 0.000
Tb: 0.277 0.277 0.183
Tb: 0.223 0.777 0.683
Tb: 0.777 0.223 0.683
Tb: 0.777 0.223 0.317
Tb: 0.223 0.777 0.317
Tb: 0.723 0.723 0.183
Tb: 0.277 0.277 0.817
Tb: 0.723 0.723 0.817
Fe: 0.258 0.258 0.399
Fe: 0.242 0.758 0.899
Fe: 0.758 0.242 0.899
Fe: 0.758 0.242 0.101
Fe: 0.242 0.758 0.101
Fe: 0.742 0.742 0.399
Fe: 0.258 0.258 0.601
Fe: 0.742 0.742 0.601
O: 0.705 0.705 0.500
O: 0.795 0.205 0.000
O: 0.205 0.795 0.000
O: 0.295 0.295 0.500
O: 0.186 0.186 0.290
O: 0.314 0.686 0.790
O: 0.686 0.314 0.790
O: 0.686 0.314 0.210
O: 0.314 0.686 0.210
O: 0.814 0.814 0.290
O: 0.186 0.186 0.710
O: 0.814 0.814 0.710
O: 0.000 0.500 0.112
O: 0.000 0.500 0.612
O: 0.500 0.000 0.388
O: 0.500 0.000 0.888
O: 0.000 0.500 0.888
O: 0.000 0.500 0.388
O: 0.500 0.000 0.612
O: 0.500 0.000 0.112
O: 0.000 0.000 0.131
O: 0.500 0.500 0.631
O: 0.500 0.500 0.369
O: 0.000 0.000 0.869
O: 0.000 0.000 0.410
O: 0.500 0.500 0.910
O: 0.500 0.500 0.090
O: 0.000 0.000 0.590

(3)
Crystalline MnV2O7 at its relaxed geometry. Source: the Materials Project, functional PBE with a Hubbard U.

energy of formation from the pure elements	-2008	meV per atom
symmetry	P-1
corrected total energy (MP2020 scheme)	-8.20	eV/atom
magnetization	3.0	μB/f.u.
ρ	2.92	g/cm³

a = 5.845 Å, b = 7.000 Å, c = 7.910 Å
α = 79.92°, β = 82.01°, γ = 74.96°
Element x y z (fractional)
Mn: 0.912 0.657 0.653
Mn: 0.088 0.343 0.347
V: 0.901 0.150 0.761
V: 0.099 0.850 0.239
V: 0.302 0.325 0.908
V: 0.698 0.675 0.092
O: 0.608 0.186 0.870
O: 0.392 0.814 0.130
O: 0.114 0.161 0.904
O: 0.886 0.839 0.096
O: 0.917 0.343 0.593
O: 0.083 0.657 0.407
O: 0.975 0.930 0.688
O: 0.025 0.070 0.312
O: 0.225 0.519 0.750
O: 0.775 0.481 0.250
O: 0.247 0.404 0.105
O: 0.753 0.596 0.895
O: 0.635 0.762 0.572
O: 0.365 0.238 0.428

(4)
Crystalline MnP2O7 at its relaxed geometry. Source: the Materials Project, functional PBE with a Hubbard U.